Entries.
~~~
Compound: Mg4Nb2O9
Source: Materials Project
Functional: PBE-GGA
Structure: relaxed

Structure (CIF):
```
data_Mg4Nb2O9
_symmetry_space_group_name_H-M 'P -3 c 1'
_symmetry_Int_Tables_number 165
_symmetry_space_group_name_Hall '-P 3 2"c'
_cell_length_a 5.2255
_cell_length_b 5.2255
_cell_length_c 14.1990
_cell_angle_alpha 90.00
_cell_angle_beta 90.00
_cell_angle_gamma 120.00
loop_
_atom_site_label
_atom_site_type_symbol
_atom_site_fract_x
_atom_site_fract_y
_atom_site_fract_z
Mg1 Mg 0.3333 0.6667 0.1922
Mg2 Mg 0.3333 0.6667 0.4834
Nb1 Nb 0.0000 0.0000 0.1420
O1 O 0.0000 0.2902 0.2500
O2 O 0.0290 0.3476 0.5844
```

Results
As for the total DFT energy (no corrections): -222.902 eV for the cell shown. For the formation enthalpy at 0 K, the calculation gives -3.10 eV/atom. As for the calculated volume: 11.19 Å³/atom.


Compound: Ba3Mo
Source: Materials Project
Functional: PBE-GGA
Structure: relaxed

Structure (CIF):
```
data_Ba3Mo
_symmetry_space_group_name_H-M 'F m -3 m'
_symmetry_Int_Tables_number 225
_symmetry_space_group_name_Hall '-F 4 2 3'
_cell_length_a 8.795
_cell_length_b 8.795
_cell_length_c 8.795
_cell_angle_alpha 90.00
_cell_angle_beta 90.00
_cell_angle_gamma 90.00
loop_
_atom_site_label
_atom_site_type_symbol
_atom_site_fract_x
_atom_site_fract_y
_atom_site_fract_z
Ba1 Ba 0.000 0.000 0.000
Ba2 Ba 0.250 0.250 0.250
Mo1 Mo 0.000 0.000 0.500
```

Results
As for the total DFT energy (no corrections): -52.164 eV for the cell shown. For the formation enthalpy at 0 K, the calculation gives 0.89 eV/atom. As for the calculated volume: 42.52 Å³/atom.


Compound: NaAlSiGeS2O12
Source: Materials Project
Functional: PBE-GGA
Structure: relaxed

Structure (CIF):
```
data_NaAlSiGeS2O12
_symmetry_space_group_name_H-M 'C 1 c 1'
_symmetry_Int_Tables_number 9
_cell_length_a 14.552
_cell_length_b 8.439
_cell_length_c 21.903
_cell_angle_alpha 90.00
_cell_angle_beta 90.51
_cell_angle_gamma 90.00
loop_
_symmetry_equiv_pos_as_xyz
'x,y,z'
'x,-y,z+1/2'
'x+1/2,y+1/2,z'
'x+1/2,-y+1/2,z+1/2'
loop_
_atom_site_label
_atom_site_type_symbol
_atom_site_fract_x
_atom_site_fract_y
_atom_site_fract_z
Na1 Na 0.000 0.004 0.000
Na2 Na 0.176 0.484 0.333
Na3 Na 0.337 0.012 0.166
Al1 Al 0.007 0.002 0.356
Al2 Al 0.179 0.478 0.190
Al3 Al 0.345 0.002 0.522
Si1 Si 0.147 0.143 0.253
Si2 Si 0.322 0.348 0.087
Si3 Si 0.345 0.288 0.420
Ge1 Ge 0.008 0.003 0.649
Ge2 Ge 0.190 0.493 0.483
Ge3 Ge 0.331 0.015 0.315
S1 S 0.010 0.292 0.752
S2 S 0.034 0.360 0.084
S3 S 0.175 0.216 0.586
S4 S 0.197 0.145 0.919
S5 S 0.363 0.352 0.753
S6 S 0.485 0.141 0.918
O1 O 0.022 0.195 0.807
O2 O 0.025 0.185 0.089
O3 O 0.074 0.432 0.139
O4 O 0.076 0.438 0.425
O5 O 0.086 0.105 0.312
O6 O 0.090 0.385 0.028
O7 O 0.093 0.111 0.589
O8 O 0.095 0.383 0.742
O9 O 0.106 0.058 0.190
O10 O 0.108 0.067 0.911
O11 O 0.154 0.309 0.529
O12 O 0.157 0.332 0.246
O13 O 0.182 0.319 0.924
O14 O 0.186 0.314 0.640
O15 O 0.241 0.076 0.973
O16 O 0.249 0.395 0.423
O17 O 0.250 0.054 0.255
O18 O 0.255 0.133 0.863
O19 O 0.259 0.119 0.579
O20 O 0.260 0.382 0.145
O21 O 0.269 0.416 0.744
O22 O 0.285 0.438 0.024
O23 O 0.321 0.188 0.357
O24 O 0.333 0.161 0.075
O25 O 0.359 0.177 0.761
O26 O 0.359 0.178 0.479
O27 O 0.402 0.431 0.807
O28 O 0.418 0.372 0.696
O29 O 0.424 0.437 0.095
O30 O 0.428 0.118 0.973
O31 O 0.430 0.097 0.257
O32 O 0.433 0.401 0.409
O33 O 0.442 0.069 0.578
O34 O 0.445 0.070 0.861
O35 O 0.485 0.302 0.196
O36 O 0.496 0.313 0.912
```

Results
As for the total DFT energy (no corrections): -1395.492 eV for the cell shown. For the formation enthalpy at 0 K, the calculation gives -2.32 eV/atom. As for the calculated volume: 12.45 Å³/atom.


Compound: K2LiP3O10
Source: Materials Project
Functional: PBE-GGA
Structure: relaxed

Structure (CIF):
```
data_K2LiP3O10
_symmetry_space_group_name_H-M 'P 1 21/c 1'
_symmetry_Int_Tables_number 14
_cell_length_a 8.700
_cell_length_b 14.569
_cell_length_c 7.881
_cell_angle_alpha 90.00
_cell_angle_beta 97.46
_cell_angle_gamma 90.00
loop_
_symmetry_equiv_pos_as_xyz
'x,y,z'
'-x,-y,-z'
~~~

Work order.
Now find the line further up that holds "Al3 Al", then write out that line and all lines after it there.

Outcome.
Al3 Al 0.345 0.002 0.522
Si1 Si 0.147 0.143 0.253
Si2 Si 0.322 0.348 0.087
Si3 Si 0.345 0.288 0.420
Ge1 Ge 0.008 0.003 0.649
Ge2 Ge 0.190 0.493 0.483
Ge3 Ge 0.331 0.015 0.315
S1 S 0.010 0.292 0.752
S2 S 0.034 0.360 0.084
S3 S 0.175 0.216 0.586
S4 S 0.197 0.145 0.919
S5 S 0.363 0.352 0.753
S6 S 0.485 0.141 0.918
O1 O 0.022 0.195 0.807
O2 O 0.025 0.185 0.089
O3 O 0.074 0.432 0.139
O4 O 0.076 0.438 0.425
O5 O 0.086 0.105 0.312
O6 O 0.090 0.385 0.028
O7 O 0.093 0.111 0.589
O8 O 0.095 0.383 0.742
O9 O 0.106 0.058 0.190
O10 O 0.108 0.067 0.911
O11 O 0.154 0.309 0.529
O12 O 0.157 0.332 0.246
O13 O 0.182 0.319 0.924
O14 O 0.186 0.314 0.640
O15 O 0.241 0.076 0.973
O16 O 0.249 0.395 0.423
O17 O 0.250 0.054 0.255
O18 O 0.255 0.133 0.863
O19 O 0.259 0.119 0.579
O20 O 0.260 0.382 0.145
O21 O 0.269 0.416 0.744
O22 O 0.285 0.438 0.024
O23 O 0.321 0.188 0.357
O24 O 0.333 0.161 0.075
O25 O 0.359 0.177 0.761
O26 O 0.359 0.178 0.479
O27 O 0.402 0.431 0.807
O28 O 0.418 0.372 0.696
O29 O 0.424 0.437 0.095
O30 O 0.428 0.118 0.973
O31 O 0.430 0.097 0.257
O32 O 0.433 0.401 0.409
O33 O 0.442 0.069 0.578
O34 O 0.445 0.070 0.861
O35 O 0.485 0.302 0.196
O36 O 0.496 0.313 0.912
```

Results
As for the total DFT energy (no corrections): -1395.492 eV for the cell shown. For the formation enthalpy at 0 K, the calculation gives -2.32 eV/atom. As for the calculated volume: 12.45 Å³/atom.


Compound: K2LiP3O10
Source: Materials Project
Functional: PBE-GGA
Structure: relaxed

Structure (CIF):
```
data_K2LiP3O10
_symmetry_space_group_name_H-M 'P 1 21/c 1'
_symmetry_Int_Tables_number 14
_cell_length_a 8.700
_cell_length_b 14.569
_cell_length_c 7.881
_cell_angle_alpha 90.00
_cell_angle_beta 97.46
_cell_angle_gamma 90.00
loop_
_symmetry_equiv_pos_as_xyz
'x,y,z'
'-x,-y,-z'